Excerpt >
********
Entry 1:
Starting from the GGA-PBE geometry in Alexandria, the powder diffraction line list of Dy2Tm2Ge3 was computed for λ = 1.5418 Å (Cu Kα).
Peak positions follow from Bragg's law for the DFT cell and can differ from measured ones.

Main lines, sorted by position (10° ≤ 2θ ≤ 90°):
- (1 1 1), 2θ = 26.43°, I = 47
- (3 1 -1), 2θ = 29.74°, I = 100
- (2 0 2), 2θ = 31.28°, I = 56
- (3 1 -2), 2θ = 34.82°, I = 30
- (1 1 -3), 2θ = 42.11°, I = 36
- (0 2 0), 2θ = 43.31°, I = 29

Structure:
```
data_Dy2Tm2Ge3
_chemical_formula_sum 'Dy4 Tm4 Ge6'
_cell_length_a 13.7147
_cell_length_b 4.1769
_cell_length_c 7.5384
_cell_angle_alpha 90.00
_cell_angle_beta 106.01
_cell_angle_gamma 90.00
_space_group_name_H-M_alt 'C 1 2/m 1'
_space_group_IT_number 12
loop_
_space_group_symop_operation_xyz
'x,y,z'
'-x,-y,-z'
'-x,y,-z'
'x,-y,z'
'x+1/2,y+1/2,z'
'-x+1/2,-y+1/2,-z'
'-x+1/2,y+1/2,-z'
'x+1/2,-y+1/2,z'
loop_
_atom_site_label
_atom_site_fract_x
_atom_site_fract_y
_atom_site_fract_z
_atom_site_occupancy
Dy1 0.1262 0.0000 0.4014 1
Tm1 0.1567 0.5000 0.8391 1
Ge1 0.0000 0.5000 0.5000 1
Ge2 0.2192 0.5000 0.2327 1
```

***

Entry 2:
Starting from the GGA-PBE geometry in Alexandria, the powder diffraction line list of LaPmP2Pd2 was computed for λ = 1.5418 Å (Cu Kα).
Peak positions follow from Bragg's law for the DFT cell and can differ from measured ones.

Main lines, sorted by position (10° ≤ 2θ ≤ 90°):
- (0 1 1), 2θ = 26.70°, I = 18
- (0 1 2), 2θ = 33.30°, I = 100
- (1 1 0), 2θ = 42.46°, I = 45
- (2 0 2), 2θ = 55.00°, I = 24
- (1 1 4), 2θ = 64.48°, I = 25
- (1 2 2), 2θ = 71.87°, I = 21

Structure:
```
data_LaPmP2Pd2
_chemical_formula_sum 'La1 Pm1 P2 Pd2'
_cell_length_a 4.2574
_cell_length_b 4.2574
_cell_length_c 7.8720
_cell_angle_alpha 90.00
_cell_angle_beta 90.00
_cell_angle_gamma 120.00
_space_group_name_H-M_alt 'P -3 m 1'
_space_group_IT_number 164
_space_group_name_Hall '-P 3 2"'
loop_
_atom_site_label
_atom_site_fract_x
_atom_site_fract_y
_atom_site_fract_z
_atom_site_occupancy
La1 0.0000 0.0000 0.0000 1
Pm1 0.0000 0.0000 0.5000 1
P1 0.3333 0.6667 0.2576 1
Pd1 0.3333 0.6667 0.7447 1
```

***

Entry 3:
Starting from the GGA-PBE geometry in Alexandria, the powder diffraction line list of Sm2BRu3 was computed for λ = 1.5418 Å (Cu Kα).
Peak positions follow from Bragg's law for the DFT cell and can differ from measured ones.

Main lines, sorted by position (10° ≤ 2θ ≤ 90°):
- (1 0 3), 2θ = 34.31°, I = 99
- (1 1 2), 2θ = 35.82°, I = 92
- (0 2 0), 2θ = 36.12°, I = 72
- (0 1 5), 2θ = 38.05°, I = 100
- (1 2 3), 2θ = 50.67°, I = 65
- (2 1 5), 2θ = 70.83°, I = 32

Structure:
```
data_Sm2BRu3
_chemical_formula_sum 'Sm4 B2 Ru6'
_cell_length_a 3.2182
_cell_length_b 4.9730
_cell_length_c 13.4413
_cell_angle_alpha 90.00
_cell_angle_beta 90.00
_cell_angle_gamma 90.00
_space_group_name_H-M_alt 'I m m m'
_space_group_IT_number 71
_space_group_name_Hall '-I 2 2'
loop_
_atom_site_label
_atom_site_fract_x
_atom_site_fract_y
_atom_site_fract_z
_atom_site_occupancy
Sm1 0.0000 0.0000 0.1820 1
B1 0.0000 0.0000 0.5000 1
Ru1 0.0000 0.5000 0.1041 1
Ru2 0.0000 0.5000 0.5000 1
```

***

Entry 4:
Starting from the GGA-PBE geometry in Alexandria, the powder diffraction line list of Na2MgTa2 was computed for λ = 1.5418 Å (Cu Kα).
Peak positions follow from Bragg's law for the DFT cell and can differ from measured ones.

Main lines, sorted by position (10° ≤ 2θ ≤ 90°):
- (0 0 4), 2θ = 17.46°, I = 82
- (0 0 6), 2θ = 26.32°, I = 35
- (0 0 8), 2θ = 35.35°, I = 100
- (1 1 4), 2θ = 38.64°, I = 56
- (1 1 6), 2θ = 43.66°, I = 36
- (2 0 2), 2θ = 50.00°, I = 37

Structure:
```
data_Na2MgTa2
_chemical_formula_sum 'Na4 Mg2 Ta4'
_cell_length_a 3.7084
_cell_length_b 3.7084
_cell_length_c 20.3153
_cell_angle_alpha 90.00
_cell_angle_beta 90.00
_cell_angle_gamma 90.00
_space_group_name_H-M_alt 'I 4/m m m'
_space_group_IT_number 139
_space_group_name_Hall '-I 4 2'
loop_
_atom_site_label
_atom_site_fract_x
_atom_site_fract_y
_atom_site_fract_z
_atom_site_occupancy
Na1 0.0000 0.0000 0.1097 1
********
Job >
Could you find the line further up that holds "33.30°,", then give back that line and all lines after it there?
Written answer >
- (0 1 2), 2θ = 33.30°, I = 100
- (1 1 0), 2θ = 42.46°, I = 45
- (2 0 2), 2θ = 55.00°, I = 24
- (1 1 4), 2θ = 64.48°, I = 25
- (1 2 2), 2θ = 71.87°, I = 21

Structure:
```
data_LaPmP2Pd2
_chemical_formula_sum 'La1 Pm1 P2 Pd2'
_cell_length_a 4.2574
_cell_length_b 4.2574
_cell_length_c 7.8720
_cell_angle_alpha 90.00
_cell_angle_beta 90.00
_cell_angle_gamma 120.00
_space_group_name_H-M_alt 'P -3 m 1'
_space_group_IT_number 164
_space_group_name_Hall '-P 3 2"'
loop_
_atom_site_label
_atom_site_fract_x
_atom_site_fract_y
_atom_site_fract_z
_atom_site_occupancy
La1 0.0000 0.0000 0.0000 1
Pm1 0.0000 0.0000 0.5000 1
P1 0.3333 0.6667 0.2576 1
Pd1 0.3333 0.6667 0.7447 1
```

***

Entry 3:
Starting from the GGA-PBE geometry in Alexandria, the powder diffraction line list of Sm2BRu3 was computed for λ = 1.5418 Å (Cu Kα).
Peak positions follow from Bragg's law for the DFT cell and can differ from measured ones.

Main lines, sorted by position (10° ≤ 2θ ≤ 90°):
- (1 0 3), 2θ = 34.31°, I = 99
- (1 1 2), 2θ = 35.82°, I = 92
- (0 2 0), 2θ = 36.12°, I = 72
- (0 1 5), 2θ = 38.05°, I = 100
- (1 2 3), 2θ = 50.67°, I = 65
- (2 1 5), 2θ = 70.83°, I = 32

Structure:
```
data_Sm2BRu3
_chemical_formula_sum 'Sm4 B2 Ru6'
_cell_length_a 3.2182
_cell_length_b 4.9730
_cell_length_c 13.4413
_cell_angle_alpha 90.00
_cell_angle_beta 90.00
_cell_angle_gamma 90.00
_space_group_name_H-M_alt 'I m m m'
_space_group_IT_number 71
_space_group_name_Hall '-I 2 2'
loop_
_atom_site_label
_atom_site_fract_x
_atom_site_fract_y
_atom_site_fract_z
_atom_site_occupancy
Sm1 0.0000 0.0000 0.1820 1
B1 0.0000 0.0000 0.5000 1
Ru1 0.0000 0.5000 0.1041 1
Ru2 0.0000 0.5000 0.5000 1
```

***

Entry 4:
Starting from the GGA-PBE geometry in Alexandria, the powder diffraction line list of Na2MgTa2 was computed for λ = 1.5418 Å (Cu Kα).
Peak positions follow from Bragg's law for the DFT cell and can differ from measured ones.

Main lines, sorted by position (10° ≤ 2θ ≤ 90°):
- (0 0 4), 2θ = 17.46°, I = 82
- (0 0 6), 2θ = 26.32°, I = 35
- (0 0 8), 2θ = 35.35°, I = 100
- (1 1 4), 2θ = 38.64°, I = 56
- (1 1 6), 2θ = 43.66°, I = 36
- (2 0 2), 2θ = 50.00°, I = 37

Structure:
```
data_Na2MgTa2
_chemical_formula_sum 'Na4 Mg2 Ta4'
_cell_length_a 3.7084
_cell_length_b 3.7084
_cell_length_c 20.3153
_cell_angle_alpha 90.00
_cell_angle_beta 90.00
_cell_angle_gamma 90.00
_space_group_name_H-M_alt 'I 4/m m m'
_space_group_IT_number 139
_space_group_name_Hall '-I 4 2'
loop_
_atom_site_label
_atom_site_fract_x
_atom_site_fract_y
_atom_site_fract_z
_atom_site_occupancy
Na1 0.0000 0.0000 0.1097 1